Funding Feasibility Studies 101

Funding Feasibility Studies 101 Main Photo

6 Mar 2018

Arts and Culture

Conducting a funding feasibility study is an important first step every organization must take before launching a capital campaign. This process helps you determine the viability of your project before investing significant time and money into the campaign. A well-executed feasibility study will paint a clear picture of whether your project is economically justifiable, supported by the community, and worth the investment of time and resources needed for the campaign to succeed.

Trust: The Key to a Successful Study

The success of a feasibility study relies on the discipline and methodology of the team executing it. Skipping steps is not recommended!

I cannot stress enough how important a role trust plays. For a study to be successful, there must be trust between the nonprofit organization and the consultant, and the consultant must be adept at quickly building trust between themselves and the people they interview. If a feasibility study consultant is not trusted by the client organization with the necessary information needed to conduct the study, they won't know the most important answers needed from the study. If an interviewee does not feel they can trust the consultant with their honest input, the answers they do get might lead to faulty recommendations.

Asking the Right Questions to Determine Funding Feasibility

Some of the primary components involved in a feasibility study are a preliminary analysis of the organization, confidential constituent interviews, and analysis of the data obtained. All these elements help the team reach a conclusion if the project should move forward or not.

Some of the key questions asked during the interview process include:

  • Who will be leaders of the campaign?
  • Who is willing to lead the campaign by providing a 'challenge' gift?
  • Which elements of the plan are funders willing to invest in?
  • How much are funders willing to commit to help achieve the campaign goal?
  • What is the community's perception of the organization?
  • How is the leadership viewed by the constituents?
  • What are the challenges that could impact giving during a campaign?
  • What are the issues, if any, that may concern constituents regarding the organization?
  • How can we position the campaign to maximize funding support and provide long-term sustainability?

The interview process provides the big picture of possible financial support. It is not the time to ask for money, as tempting as it may be. The study process is a time for forecasting, raising awareness, building interest, and seeking involvement. Leave the asking for the actual campaign.

Finding the Right Team to Manage Your Feasibility Study

I'd like to leave you with one last thought about the feasibility study process, specifically on how to decide who to hire to manage your study. A plan can look great on paper but without the human factor and right attitude, it will be challenging (if not impossible) to be successful. And a successful funding feasibility study is crucial to a successful capital campaign. With that in mind, here are five key consultant characteristics that are essential to the success of your feasibility study:

  • Good listener
  • Does their research
  • Actively works to build trust
  • Organized
  • Prompt

Most importantly, they truly love what they do!

Convergent Nonprofit Capital Campaign Consultants and Feasibility Study Experts

-- Between two parts of the entry: materials data --
********
The following is a PBE with a Hubbard U calculation of a relaxed structure of Ba2NaCrO4, from Alexandria via LeMat-Bulk.

Lattice parameters (Å, degrees): 5.768 5.768 5.768 115.90 115.90 97.25
Sites, in units of the cell vectors:
1 Ba 0.000 0.000 0.000
2 Ba 0.750 0.250 0.500
3 Na 0.250 0.750 0.500
4 Cr 0.500 0.500 0.000
5 O 0.212 0.176 0.589
6 O 0.377 0.788 0.964
7 O 0.587 0.623 0.411
8 O 0.824 0.413 0.036

Results
Uncorrected energy = -47.97 eV/f.u.
Calculated volume = 143 Å³/cell
Symmetry = I-4


(1)
# PBE-GGA La2HfTlC, optimized geometry
# - formation energy from the elements (eV per atom) = -0.222
data_La2HfTlC
_symmetry_space_group_name_H-M 'P 1'
_symmetry_Int_Tables_number 1
_symmetry_space_group_name_Hall 'P 1'
_cell_length_a 5.304
_cell_length_b 5.304
_cell_length_c 4.536
_cell_angle_alpha 90.00
_cell_angle_beta 90.00
_cell_angle_gamma 90.00
loop_
_atom_site_label
_atom_site_fract_x
_atom_site_fract_y
_atom_site_fract_z
Tl1 0.500 0.500 0.500
C1 0.000 0.000 0.000
La1 0.000 0.500 0.000
La2 0.500 0.000 0.000
Hf1 0.000 0.000 0.500


(2)
# PBE-GGA Zr3FeAu, optimized geometry
# - polymorph energy (0 for the lowest one) (meV/atom) = 392
# - formation energy from the elements (eV per atom) = 0.131
data_Zr3FeAu
_symmetry_space_group_name_H-M 'P 1'
_symmetry_Int_Tables_number 1
_symmetry_space_group_name_Hall 'P 1'
_cell_length_a 4.782
_cell_length_b 4.782
_cell_length_c 4.782
_cell_angle_alpha 90.00
_cell_angle_beta 90.00
_cell_angle_gamma 90.00
loop_
_atom_site_label
_atom_site_fract_x
_atom_site_fract_y
_atom_site_fract_z
Zr1 0.000 0.000 0.500
Au1 0.500 0.500 0.500
Zr2 0.500 0.000 0.000
Zr3 0.000 0.500 0.000
Fe1 0.000 0.000 0.000


(3)
# PBE-GGA Tb2PrCrN4, optimized geometry
# - ΔE_f (raw) (eV/atom) = -1.215
data_Tb2PrCrN4
_symmetry_space_group_name_H-M 'P 1'
_symmetry_Int_Tables_number 1
_symmetry_space_group_name_Hall 'P 1'
_cell_length_a 3.434
_cell_length_b 6.091
_cell_length_c 11.694
_cell_angle_alpha 90.00
_cell_angle_beta 90.00
_cell_angle_gamma 106.38
loop_
_atom_site_label
_atom_site_fract_x
_atom_site_fract_y
_atom_site_fract_z
Tb1 0.631 0.262 0.457
N1 0.582 0.163 0.250
N2 0.418 0.837 0.750
Cr1 0.831 0.662 0.750
Tb2 0.631 0.262 0.043
Tb3 0.369 0.738 0.957
N3 0.000 0.000 0.500
N4 0.265 0.529 0.372
N5 0.735 0.471 0.628
N6 0.265 0.529 0.128
Pr1 0.906 0.812 0.250
Tb4 0.369 0.738 0.543
N7 0.735 0.471 0.872
Cr2 0.169 0.338 0.250
Pr2 0.094 0.188 0.750
N8 0.000 0.000 0.000


(4)
# PBE-GGA CeDy3Tl4Se8, optimized geometry
# - ΔE_f (raw) (eV/atom) = -1.367
data_CeDy3Tl4Se8
_symmetry_space_group_name_H-M 'P 1'
_symmetry_Int_Tables_number 1
_symmetry_space_group_name_Hall 'P 1'
_cell_length_a 8.458
_cell_length_b 9.174
_cell_length_c 8.458
_cell_angle_alpha 117.46
_cell_angle_beta 120.00
_cell_angle_gamma 90.00
loop_
_atom_site_label
_atom_site_fract_x
_atom_site_fract_y
_atom_site_fract_z
Se1 0.272 0.294 0.033
Se2 0.761 0.294 0.522
Tl1 0.000 0.000 0.000
Dy1 0.500 0.500 0.500
Dy2 0.000 0.500 0.500
Se3 0.728 0.706 0.967
Se4 0.761 0.294 0.033
********

If you need a trusted feasibility study professional, capital campaign consultant, fundraising expert, or resource development professional, the team at Convergent Nonprofit Solutions is here for you. We invite you to contact our professionals today, explore our resources, or take our capital campaign readiness quiz to get started today!

About The Author

Mandy Hurd

Department: Author

Mandy has engaged with a cross-section of nonprofits throughout her career, including healthcare, social services, military, defense and space science organizations. Her expertise includes: major investment solicitation, board development, organizational performance management, and healthcare patient practices education. Operating a nonprofit organization with best resources and practices, Mandy believes, allows organizations to mirror the most successful corporations in the private sector while maintaining their integrity as a nonprofit entity.